A whole lot of folks want to cut government to size
| Washington
For the first time in many years -- perhaps since the Civil War and Reconstruction -- American federalism is coming under intense scrutiny in Washington.
A bipartisan, multigovernmental commission has recommended fundamental and potentially disruptive changes in the way federal, state, and local governments relate. Congress is focusing on the issue through public hearings. And the Reagan administration has just announced its own special group to formulate federalism policy.
The issue is being raised at a particularly opportune time. Questions of government spending, bureaucratic efficiency, growth in regulation, and judicial activism were top campaign concerns. They are at the core of the philosophical sea change that the Reagan administration has brought to Washington.
**What comes next are records of molecules, not part of the article:**
Record 1
ORCA calculation (wB97M-V/def2-TZVPD) on a cluster of 17 separate species, H34O17 in total.

```
! RIJCOSX wB97M-V def2-TZVPD def2/J DEFGRID3
* xyz 0 1
O -3.994 0.584 -0.711
O 2.374 -1.531 -1.910
O -2.407 3.077 -2.930
O -0.034 -2.969 -1.404
O 5.741 0.999 -0.199
O -1.854 -3.114 2.683
O 2.020 -2.729 3.445
O -0.753 -0.519 3.847
O 3.750 2.367 3.906
O 2.515 0.970 -4.007
O -3.308 -2.847 -1.340
O -2.026 3.727 0.681
O 2.624 1.739 -0.219
O -0.439 1.602 -4.500
O -2.378 -1.249 0.336
O 0.482 -0.099 0.506
O -2.080 1.676 2.037
H -0.430 -0.356 0.015
H -2.116 1.410 2.993
H -4.683 0.485 -1.547
H 2.675 2.190 0.612
H -0.953 -3.159 -1.612
H 3.787 2.489 2.976
H -0.181 0.247 3.756
H -3.158 -3.666 -1.752
H -2.119 -0.890 1.138
H -3.308 -1.156 0.157
H -2.341 -2.482 -1.115
H 3.086 2.993 4.128
H 0.486 1.375 -4.134
H 5.743 0.476 0.569
H 2.420 -3.483 2.886
H 1.947 -1.064 -1.203
H -2.249 -2.587 3.387
H -1.731 2.283 -2.917
H -0.510 0.982 -5.161
H -2.404 -3.873 2.640
H 1.860 -2.237 -2.425
H -3.492 -0.258 -1.014
H 0.789 -0.972 0.687
H 6.243 0.358 -0.804
H 1.946 1.074 -0.221
H -1.432 3.329 0.096
H -1.221 1.334 1.848
H 1.674 -2.256 2.708
H 1.868 1.633 -4.370
H -0.282 -1.236 3.635
H -2.696 3.295 -2.049
H 2.629 1.452 -3.159
H -2.130 3.136 1.346
H 0.045 -2.550 -2.317
*
```

## Properties
- Electronic energy: -35355.44973 eV
- Gap between HOMO and LUMO: 10.002 eV
- Largest force on an atom: 5.8 eV Å⁻¹
- LUMO: -0.0211 Ha

***

Record 2
ORCA calculation (wB97M-V/def2-TZVPD) on a structure of composition C52H44BrIrN3OP2S.

```
! RIJCOSX wB97M-V def2-TZVPD def2/J DEFGRID3
* xyz 1 1
Ir 0.992 -0.691 0.351
Br 1.389 -8.196 -0.044
S 3.279 -0.157 -0.407
P -1.232 -1.211 0.592
P 0.685 2.410 -1.377
O 0.390 1.275 -0.411
N 4.639 -1.970 1.303
N 1.799 0.261 2.168
N 1.549 -2.295 1.440
C -0.828 3.248 -1.862
C 1.501 -3.694 1.080
C -2.261 -2.420 4.926
C 1.453 -6.370 0.430
C -1.620 -4.524 -2.514
C 1.578 3.771 -0.589
C -2.941 0.110 -1.263
C -2.580 -3.272 3.881
C 2.225 -5.495 -0.320
C -3.632 0.172 1.041
C 2.853 -0.361 4.227
C -0.818 4.143 -2.934
C -2.703 -4.314 -1.663
C 2.256 -4.153 0.011
C -1.939 3.176 -1.029
C -1.927 4.932 -3.185
C -0.484 -3.740 -2.413
C 2.029 -2.050 2.606
C 2.197 -0.675 3.048
C 1.062 4.238 0.623
C 2.972 1.681 -2.745
C -2.035 -0.279 -2.392
C -1.678 -1.192 4.657
C -2.668 -0.162 0.087
C -1.687 -1.671 2.300
C 0.781 -1.790 -1.400
C 3.130 0.968 4.497
C 2.782 1.923 3.555
C -1.408 -0.781 3.354
C -5.079 1.077 -0.635
C 2.130 1.525 2.399
C 1.590 5.367 1.223
C -1.452 -2.595 -0.546
C 3.676 1.198 -3.836
C 0.750 -5.926 1.536
C -3.042 3.981 -1.276
C 3.125 5.619 -0.610
C -3.039 4.852 -2.354
C 1.596 1.897 -2.836
C -0.918 0.630 3.139
C 2.630 6.055 0.608
C 4.115 -1.217 0.595
C -4.820 0.797 0.695
C 0.939 1.633 -4.038
C 1.647 1.153 -5.128
C -2.624 -3.340 -0.687
C -0.390 -2.744 -1.440
C 3.014 0.933 -5.026
C 0.788 -4.580 1.868
C -2.279 -2.900 2.580
C -4.143 0.730 -1.592
C 2.595 4.486 -1.214
H -3.602 -4.906 -1.770
H 1.708 -2.340 -1.559
H -1.769 1.310 3.059
H 0.720 -1.107 -2.257
H -2.267 0.320 -3.271
Following a three-year study on the subject, the Advisory Commission on Intergovernmental Relations (ACIR) recently concluded that "the federal government's role in the federal system has become more pervasive, more unmanageable, more ineffective, more costly, and more unaccountable. . . ."
If that sounds like Reagan rhetoric, it comes from a studiously bipartisan group of state, local, and federal officials whose professional staff for many years has been well regarded by government-watchers.
Testifying on Capitol Hill last week, ACIR assistant director David Walker said, "Federal-state-local relations have become more entangled, more enervating , and more undermining of the system's overall functional effectiveness over the past two decades."
Speaking to the same committee, Congressional Budget Office director Alice Rivlin noted that federal grants to state and local governments have about doubled as a portion of local budgets and federal outlays since 1960.
In that year, there were 132 federal aid programs, 80 percent of which had to do with transportation and income security. Today, there are nearly 500 intergovernmental grant-in-aid programs touching just about every aspect of state and local government operation. The total cost of such programs has rocketed from $7 billion to nearly $89 billion.
One example: 20 years ago there was one small program involving the US Forest Service that had to do with local fire protection. Today, there are 52 federal programs related to fire protection, handled by 24 separate Washington agencies (including every federal department except State and Defense).
"Categorical grants have gotten out of hand," admitted Robert Wood who initiated and dispensed much aid as Housing and Urban Development secretary under President Lyndon Johnson.
The number of federal employees has remained fairly steady (about 2.5 million) during this period -- and actually decreased as a portion of the population. State and local public jobholders, however, have mushroomed and now include 5 million "indirect federal employees" whose paychecks originate in Washington.
The ACIR reports that "the federal role has not just grown bigger, it has changed . . . from regulator and promoter of the economy and modest provider of intergovernmental aid to big banker, energetic but only modestly effective equalizer, pervasive regulator, and mobilizer of shared functions."
An "iron triangle" of congressional subcommittees, program administrators, and interest groups, the commission finds, has weakened the influence of "generalist" officials and political parties themselves.
Among the ACIR's recommendations:
* "Decongest" the federal grant system by having Washington take over major social welfare programs, terminating many other smaller programs (420 account for only 10 percent of all federal grants), and consolidating the rest into block grants.
* Have Congress and executive agencies attach "fiscal notes" and "impact analyses" to federal laws and regulations so that the cost to state and local government can be detailed. Allow the President to temporarily suspend (for up to 180 days) "potentially disruptive or very costly national policy requirements" having to do with such things as discrimination, privacy, environmental quality, prevailing wages, and merit employment.
* Strengthen the party system by holding midterm conventions, and more local and state conferences. The commission also advocates a smaller number of presidential primary elections and the elimination of open primaries.
* Make it easier for the states to petition Congress to hold a constitutional convention.
These issues -- now being scrutinized for possible legislative remedies by a House government operations subcommittee -- obviously are highly controversial and will be the subject of intense debate for many months.
They also are right up the Reagan administration's alley, and the President last week named his own "federalism advisory committee" to report on the subject before the end of next year.